Contributing Authors M-O
A little about some of our contributors. Please feel free to send us a small (45-50 words) biography (including roughly where you live) - and a photo - of yourself! Please use the Contact Form to send details.
![]() Yasmina Din Madden lives in Iowa and her short fiction and nonfiction feature in The Masters Review: New Voices, The Idaho Review,The Jellyfish Review, Word Riot, Fiction Southeast, Hobart, Carve, and other journals. Her story "At the Dog Park" was recently shortlisted for The Masters Review Anthology: 10 Best Stories by Emerging Authors.
![]() The son of Irish immigrant parents – his father was a member of the IRA – Donal Mahoney grew up, was educated and worked in Chicago most of his life. He lives now in St. Louis, Missouri. Some of his work can be found here.
![]() Originally from India, Deepti Nalavade Mahule currently lives in California, where she develops software, feeds books to her two children, and writes short fiction. One of her short stories was highly commended in the Commonwealth Short Story Competition in 1999 and others have appeared online as well as in print. More on her website.
![]() Saaiqa Malik is a happily married mother of three, who lives in Leicester, UK. By profession she was an accountant, but after spending several years as a home maker she has decided to revisit her childhood dream and have a go at writing.
![]() S.R Malone is a writer living just outside Edinburgh, Scotland. He has been published in Synthetic Reality Magazine, 365 Tomorrows and Entropy-Squared. When not writing or reading, he likes to spend time with his family and their dog, going for walks in the Scottish wilderness.
![]() Sergio Manghina's interests span music, literature, cinema and art, particularly Goth, Cyberpunk, Dark-Ambient and Noir. Intrigued by the unexplained phenomena and the paranormal, his work has appeared in Carpe Nocturne Magazine, Hi Folks, PlayMusic and Noize Makes Enemies. Also a poet, he lives in Genoa, Italy: find more at his website.
![]() Born in Israel but now living in New York, Israela Margalit is an award-winning, critically acclaimed playwright, and TV writer, as well as an internationally renowned concert pianist, and recording artist, and now recently-published short fiction writer. Check her out on Facebook.
![]() David Margolin lives, works, and writes in Portland, Oregon. During his career as a Neurologist he has done a lot of medical/scientific writing. Now he is enjoying the relative freedom of creative writing. He has published in Five Minutes, R U Joking?, Little Old Lady Comedy, Bright Flash Literary Review, Memoir Magazine and Witcraft
![]() Dominique Margolis is a French emigrant who first arrived in the USA as a university international student with limited English skills. She currently lives in Los Angeles County, California. Her prose is published in French and recently in English. Visit her website or follow her on Twitter @dominique_1234.
![]() Cheryl Markosky wanted to be a lighthouse keeper, but became a journalist instead. Canadian-born, she splits her time between England and the Caribbean. New to flash fiction, she’s been attending workshops with Jude Higgins and Nancy Stohlman. She also writes short stories.
![]() Andy Martin is a philosophy teacher in England. He has had short stories and flash fiction published in a range of magazines and is the author of How to Write Short Stories of Love & Entanglement under the pseudonym Andy Houstoun.
![]() Michael Marrotti is an author from Pittsburgh using words instead of violence to mitigate the suffering of life in a callous world of redundancy. His primary goal is to help other people. He considers poetry to be a form of philanthropy. When not writing, he volunteers weekly at the Light Of Life homeless. Check out his blog for his latest poetry and short stories.
![]() James Maskell has taught high school English in Massachusetts for over twenty years. He writes flash, poetry and a bit of humor in the occasional downtime his career provides.
![]() Keith E Maynard landed in Tucson, Arizona as a teen (born in NY). He is now a retired educator, and currently revising a dystopian novel, writing his memoir, continuing his education, researching family history, and playing Texas Hold’em. Visit to see how his work is progressing.
![]() Barney MacFarlane, formerly of Glasgow's West End, now lives in Eastbourne, Sussex – where it's sunnier. A former full-time hack, he still writes occasional articles for Scottish Field, Aberdeen Press and Journal, Eastbourne Herald, as well as (more recently) the National Scotland newspaper.
![]() Brian Mackinney is a Drabble writer who loves the challenge of the genre. Some of his drabbles have been illustrated. Brian lives in Nottingham where his drabbles have been well received by the UNESCO City of Literature.
![]() Geraldine McCarthy lives in West Cork, Ireland. Writing short stories, flash fiction and poetry, her work has been published in The Fable Online, Incubator Journal, Seven Deadly Sins: a YA Anthology, Scarlet Leaf Review, Brilliant Flash Fiction, Every Day Fiction, Fifty Word Stories, Foxglove, Poetry Pulse, Comhar, Café Lit and Qutub Minar Review.
![]() Mary Anne Mc Enery is an Irish and Dutch citizen, a senior—who does not act her age— living in The Hague, The Nederlands. She has fun writing micro, flash fiction, and longer short stories.
![]() When Martin McConnell isn't writing speculative fiction, he's motivating other authors, stargazing, reading, or playing Kerbal Space Program. He avidly encourages everyone he meets, from his twitter feed @spottedgeckgo or his blog, to drive their own plot. Martin currently lives in Southern Missouri.
![]() V. Karen McMahon was born and raised in southwestern Virginia, recruited by the U.S. Government then transplanted to Washington, DC. but living as far out in Virginia as possible. After years of writing and editing for others, she decided to try to write for herself. See her other works at her own website.
![]() Bruce McNair is a retired systems engineer who lives in Adelaide, Australia, and enjoys reading and writing, especially short stories and flash fiction. He has over forty years of experience in fields such as software engineering and systems engineering, particularly the development of complex systems.
![]() Moira McPartlin – 'writer, walker, wife, campervaner, mother, granny' – lives in Stirlingshire, Scotland. Her novels include The Incomers (shortlisted for the Saltire Society First Book of the Year Award), and her speculative Sun Song Trilogy, set in 2089. In 2019 her play A Handful Of Glaur featured in UNESCO Cities of Literature Short Play Festival in New Zealand.
![]() Born in West London, Adrian McRobb has travelled extensively but now lives in Northumberland. Describing himself variously as a "pessimistic optimist" and "an atheist with a sneaking regard for God", he writes short stories and poetry, and lists a variety of hobbies including Victoria sponge cake and talking in lifts.
![]() Lynn Messing’s love affair with language began before she could even put two words together. She co-edited a scholarly text published by Oxford University Press. Although she has indulged in the writing of fanfic for several years, she is relatively new to writing original fiction. She currently lives in Delaware.
Someone pasted calculated molecules at this point:
********
# 1
Computed, not measured: a structure of composition C41H39BrN8O7P2Sr, with ωB97M-V/def2-TZVPD.

Summary:
Kohn-Sham gap = 6.50 eV
Charge = -2
LUMO energy = 3.98 eV
DFT total energy = -5838.236693 Eh

Last column: Mulliken charge in e.
Geometry (Å):
1 Sr 0.369 1.128 0.302  1.412
2 Br -2.097 2.243 -4.255  -0.189
3 P 2.408 -1.927 0.377  2.139
4 P -2.975 1.450 0.119  1.918
5 O -2.470 -1.149 2.305  -0.831
6 O 1.302 3.321 -0.273  -0.483
7 O -0.349 -0.871 1.651  0.250
8 O 2.021 5.364 -0.903  -0.779
9 O -0.022 3.900 2.667  -0.752
10 O 3.103 0.380 -3.327  -0.798
11 O 2.160 0.395 -1.300  -0.315
12 N 2.131 1.786 2.328  -0.200
13 N -1.016 1.861 2.693  -0.127
14 N -5.312 2.045 1.546  0.142
15 N -5.582 0.521 -0.357  0.163
16 N -0.564 -0.557 -1.661  1.218
17 N -0.762 -4.749 -4.980  -0.626
18 N -5.211 2.927 -0.740  0.102
19 N -0.489 3.557 -2.428  -0.025
20 C -4.165 0.130 -0.436  -1.467
21 C -5.950 0.845 1.022  -0.947
22 C 5.338 -0.900 -2.365  -0.751
23 C 6.346 -1.801 -2.086  -0.543
24 C 3.958 -1.842 -0.629  0.216
25 C 1.338 2.184 3.510  -0.878
26 C 3.054 0.081 -2.126  -0.181
27 C 4.383 -1.589 2.432  -0.666
28 C -1.162 0.582 3.356  -0.695
29 C -1.368 -0.576 2.364  0.373
30 C 1.100 -6.275 -0.598  -0.688
31 C -2.209 4.942 -3.363  -0.396
32 C 6.154 -2.768 -1.103  -0.740
33 C 1.818 -4.078 -1.262  -0.602
34 C -0.068 -1.529 -3.781  -0.835
35 C -5.594 3.159 0.652  -0.982
36 C 4.966 -2.788 -0.398  -0.486
37 C -0.689 -2.705 -3.384  0.702
38 C -5.852 1.692 -1.188  -0.979
39 C 3.829 -1.619 4.777  -0.655
40 C 2.005 -3.703 0.072  0.237
41 C -3.863 1.843 1.706  -1.210
42 C -1.160 -1.691 -1.286  -0.393
43 C 2.512 -1.919 4.450  -0.864
44 C 4.138 -0.901 -1.648  -0.056
45 C -0.729 -3.843 -4.273  -0.155
46 C 4.759 -1.444 3.763  -0.667
47 C -0.023 4.612 -1.742  0.592
48 C 1.373 -5.347 -1.596  -0.628
49 C -0.640 5.857 -1.807  -0.670
50 C 1.230 4.416 -0.883  -0.032
51 C 1.283 -5.917 0.729  -0.544
52 C -3.747 2.825 -0.873  -1.063
53 C -1.248 -2.796 -2.117  -0.859
54 C -0.018 2.691 2.976  0.485
55 C -1.756 6.014 -2.607  -0.366
56 C 1.728 -4.642 1.062  -0.420
57 C 2.131 -2.045 3.123  -0.332
58 C -0.027 -0.477 -2.879  -0.963
59 C -1.513 3.756 -3.219  0.138
60 C 3.070 -1.908 2.091  0.549
61 H 1.766 -2.020 5.229  0.369
62 H -6.672 3.352 0.672  0.320
63 H 1.227 -5.608 -2.638  0.441
64 H -2.045 0.592 4.008  0.339
65 H 7.273 -1.770 -2.648  0.370
66 H 1.855 -4.382 2.104  0.284
67 H -7.034 0.994 1.051  0.284
68 H -3.515 2.670 -1.926  -0.063
69 H 1.264 1.315 4.162  0.340
70 H 2.332 2.599 1.746  0.087
71 H 4.122 -1.498 5.813  0.359
72 H 0.744 -7.265 -0.855  0.354
73 H -1.709 -3.712 -1.775  0.509
74 H 2.021 -3.360 -2.050  0.407
75 H -0.219 6.669 -1.233  0.452
76 H 3.012 1.377 2.613  0.177
77 H 1.087 -2.180 2.867  0.337
78 H 1.072 -6.630 1.517  0.407
79 H -5.071 4.046 1.016  0.394
80 H -3.292 3.774 -0.575  0.447
81 H 4.803 -3.553 0.354  0.457
82 H -6.934 1.860 -1.186  0.297
83 H -3.391 2.724 2.141  0.389
84 H 1.797 3.006 4.067  0.439
85 H -5.686 0.001 1.661  0.413
86 H -5.533 1.481 -2.212  0.382
********
Back to the piece:
![]() Tammy Mezera works in security and has previous experience of work in private investigation and emergency management. She writes poetry, short stories and articles and is currently working on her first novel. She has two children and lives in a suburb of Chicago.
![]() Edinburgh based Greg Michaelson likes to write about how things aren't and how they might be. His short fiction has been published in New Writing Scotland, Valve, Takahe, The Eildon Tree and Firewords and elsewhere. In 2008 novel The Wave Singer was shortlisted for a Scottish Mortgage Investment Trust/Scottish Arts Council First Book Award.
![]() Lyn Miller lives in Edinburgh with her husband and dog. She worked as a GP for 27 years, but left in order to devote more time to writing. Her novels, Taking Medicine and A Human Condition were published in 2017 and 2019 respectively. More information about Lyn can be found at her website.
![]() David Milner finds stories when he is out and about. Or they find him. He’s glad to be a part of the FFF community. He lives in London with his wife and family.
![]() Frank C. Modica is a retired teacher living in Urbana, Illinois. His poems and prose have appeared or are forthcoming in Five Minutes, Dust Poetry, and Sheila-Na-Gig. Frank's first chapbook, What We Harvest, was nominated for an Eric Hoffer book award.
![]() Kim Kjagain Moes, of Vancouver Island, BC, dabbles in flash, micro, and poetry. She unravels everyday events finding inspiration to meet the words climbing out of her mind. On writing, she says, “Write the life we live, explore the lessons not yet learned, and then, eat catharsis for dinner.”
![]() Colorado Springs writer Traci Mullins
has more than three decades of experience in coaching, editing, and collaborating on hundreds of non-fiction books. She is currently working on unearthing the girl who used to love stories. ![]() Lynn Mundell co-edits 100wordstory, a California-based literary journal dedicated to flash fiction stories, essays, and author interviews. Her work has been published in The Sun, Flash: The International Short-Short Story Magazine, Blink Ink, FlashFlood, Number Eleven, and other classy places. Catch up and keep in touch with Lynn on Twitter, @lynnfmundell.
![]() Edinburgh-based Ian Murphy has wanted to be a novelist since boyhood, and continues to pursue that dream. His debut novel The Life Lived was published in 2015. Currently, he is working a second novel set in rural Scotland as well as some short fiction – when his two young children allow it.
![]() Lorraine Murphy lives in Westmeath, Ireland. Married to Brendan and mother to three taller people, she adores writing fiction and the odd (very odd) poem. Her debut novel Into The Woods, published by Inkubator Books, published in August 2022 on Amazon and Kindle Unlimited. Website:
![]() Giulietta Nardone is a writer, painter and singer from Massachusetts where she lives with her husband and two frolicsome cats. Her stories have appeared in newspapers, magazines and on public radio. She is the author of Feel More Alive! 30 Brilliant Ways To Reignite Your Inner Spark.
![]() Paula Nicolson lives in West Scotland with her family and an overly chatty cat. A fomer scientist, she’s now a school librarian and runs a writing group. A published poet, short story and prize-winning flash fiction writer, she’s partial to cake, scientific stuff, zombie films and books. She blogs on Twitter and Facebook.
![]() Len Nourse was raised in South Africa, but has spent recent years mostly in the US and Australia. Today, when he's not researching the role of nutrition in the stress of ill health, he writes children's books based on nightly bedtime stories told to kids for over forty years. So far he has completed eleven books, notably the JP And Animal Detectives series.
![]() Carole Novak lives in the Midwest with her husband and two terriers. She recently graduated from Northeastern Illinois University with a BAIS degree. She now pursues her passion of freelance writing. Her focus is primarily on flash fiction. She strives to eliminate all unnecessary words.
![]() Alison Ogilvie-Holme began writing and submitting her work over the past year. She soon developed a passion for the art of the very short story. Alison lives in Ontario, Canada with her husband and identical twin daughters.
![]() Laura Ogryzko lives in Glasgow with her husband and big bear of a dog. Recently graduated with an MA in English, she now hopes to continue with a PhD in Literature. She loves writing short stories and flash fiction in her spare time and really wants to draft her first novel by the time she's 30.
![]() Mariella Angela Olden, an emerging writer and biology student-journalist from the Philippines, aims to write with purpose. Her works have been featured in House of Poetry, National Flash Flood, and Hot Pot Magazine. She aspires to publish a book and seeks self-actualization. Explore more at her website.
![]() Sandra Orellana is an American living in Mexico City and spends time in San Miguel Allende. She has four years writing and her first book The Arch Of Surprises is available on Amazon . A children's book will be launched by the end of 2018 and she is working on a second adult novel. Her passions are tennis, writing and reaching out to the most in need.
![]() Pennsylvania's John O’Keefe is a scientist, trilingual translator and writer. His short stories and poems have been published in various literary magazines worldwide. You can find out more at his website. His chapbook To No End: Grotesque short stories and speculative essays is available on Amazon.
![]() Jo Oldani Osborne is a freelance writer and editor working out of The Central Valley of California. She has written for various national and international magazines and newspapers but enjoys the challenge of editing novels, etc. as a first step in getting ready for publishing. She has an Ozzie and two dogs as well as two children.
![]() Puerto Rican-born Ramon Oteiza was raised in New York City on prescribed goals of superficial status ascension. Stifled, he chose a rocky path of awareness and self-discovery leading to East Tennessee.